One Hundred Years of Good Luck

Fiberhome March: Hello, Master.

"Do you approve orders, measure characters or look at faces?" Li Yuan asked his old question again.

Fenghuo Lian March: Master, I measure words!

"Okay, what are you reading?" Li Yuan asked.

Beacon fire March: I love to write two words on weekdays, as I send to the master to see.

"All right." Li Yuan promised that the word measurement is not a single method, others write by hand, measured is likely to be different.

Soon, Li Yuan received a picture, a simple "Fu" character.

In fact, this word does not have any characteristics, regular, but from the pen of the person's strokes, you can still see many differences.

'Good handwriting! Li Yuan said: "Smooth writing, the whole pair of words in one go, natural but not clever, you can see that you are a personality unrestrained person."

Fiberfire March: Sort of! I think I'm cool, but I'm just a floating grass between heaven and earth.

"In this life, you don't need to worry about food, clothing, and housing, but there is one thing about you that is not very good." Li Yuan continued.

Fiberfire March: Oh? Master, speak.

"The bad part is your marriage." Li Yuan added.

Beacon fire March: Master say see marriage where is bad?

"You've been on so many blind dates, you even set a wedding date once, but it all fell apart and now you're still single."

Fiberfire even March: The master is really powerful, all said right.

"It's all in your words." Li Yuan looked at the word on the phone and said, "The word of blessing, from the word alone, consists of 'show', 'one', 'mouth' and 'field'.

'Show' represents clothing, 'mouth' naturally refers to food, and 'field' is not the field we say we farm, this is actually a stick figure of the house, so you have no worries about food and clothing, the house is not worried.

And this blessing you have, 'man', 'one', 'mouth' will form a 'harmony' word, there is no 'man' here, only 'one' and 'mouth', that is, your 'harmony' has not been achieved, why it has not been achieved, because of sending people.

And the separation between your "one" and your "mouth" means that you were almost a marriage."

Li Yuan said a lot at one breath, and as he spoke, he wrote the word down on the blackboard and described it in circles.

Beacon Fire March: Master please continue.

"Well, you're reading to ask for a trip?" Li Yuan asked.

Fenghualianmarch: Yes, Master, how do you know?

"Do you see that you have written this blessing word, is there not a little more under it?" Li Yuan asked.

Fiberfire even March: Still really have, I did not pay attention, based on this can be inferred that I want to ask for travel?

Lee answered directly, Because it is unconscious, I can infer it.

Fenghulian March: Master, can I travel smoothly? Where do you need to go?

"You see your unconscious extra point, just the direction of six o 'clock, six, in our country, there is the meaning of sixty-six, so your trip is smooth, the direction will choose to go south." "

Fiberfire March: Really? Master, they say you're very accurate. Don't lie to me.

Li Yuan smiled and said, "Really, it's not a lie, and if you go on this trip, you will meet the person you are destined to meet."

Fenghuo Lian March: Mean I can still get a daughter-in-law home?

"Mm-hmm." Li Yuan said, "Because of your Fu character, the left part of the 'Shi' is written like a person, 'people', 'one', 'mouth' are complete, then 'he', a hundred years of good 'he'."

Fenghualian March: Ha ha ha, thank you Master 1!

_Crystal structures that have nothing to do with the text_
/*
NaCa9MnP7O28 GGA+U relaxed; calculated formation energy = -3224 meV/atom; space group = R3c (161); raw total energy = -7.23 eV per atom; spin magnetization = 0.11 μB per atom
1.0
12.851 -5.241 0.000
12.851 5.241 0.000
10.714 0.000 8.822
P Ca O Na Mn
14 18 56 2 2
direct
0.826 0.309 0.271
0.184 0.686 0.227
0.686 0.227 0.184
0.684 0.727 0.186
0.309 0.271 0.826
0.767 0.767 0.767
0.186 0.684 0.727
0.267 0.267 0.267
0.809 0.326 0.771
0.771 0.809 0.326
0.326 0.771 0.809
0.271 0.826 0.309
0.227 0.184 0.686
0.727 0.186 0.684
0.564 0.575 0.160
0.440 0.408 0.849
0.908 0.940 0.349
0.947 0.559 0.972
0.059 0.447 0.472
0.660 0.075 0.064
0.160 0.564 0.575
0.849 0.440 0.408
0.575 0.160 0.564
0.447 0.472 0.059
0.064 0.660 0.075
0.349 0.908 0.940
0.408 0.849 0.440
0.075 0.064 0.660
0.940 0.349 0.908
0.472 0.059 0.447
0.559 0.972 0.947
0.972 0.947 0.559
0.618 0.640 0.363
0.392 0.255 0.111
0.173 0.354 0.627
0.899 0.145 0.589
0.915 0.352 0.255
0.145 0.589 0.899
0.863 0.140 0.118
0.589 0.899 0.145
0.150 0.869 0.876
0.255 0.915 0.352
0.140 0.118 0.863
0.671 0.690 0.114
0.118 0.863 0.140
0.852 0.415 0.755
0.808 0.808 0.808
0.089 0.645 0.399
0.876 0.150 0.869
0.354 0.627 0.173
0.376 0.369 0.650
0.611 0.755 0.892
0.108 0.838 0.393
0.893 0.338 0.608
0.640 0.363 0.618
0.854 0.673 0.127
0.393 0.108 0.838
0.190 0.171 0.614
0.838 0.393 0.108
0.399 0.089 0.645
0.127 0.854 0.673
0.645 0.399 0.089
0.114 0.671 0.690
0.608 0.893 0.338
0.636 0.383 0.845
0.614 0.190 0.171
0.892 0.611 0.755
0.352 0.255 0.915
0.363 0.618 0.640
0.369 0.650 0.376
0.650 0.376 0.369
0.869 0.876 0.150
0.345 0.883 0.136
0.383 0.845 0.636
0.690 0.114 0.671
0.845 0.636 0.383
0.415 0.755 0.852
0.673 0.127 0.854
0.111 0.392 0.255
0.338 0.608 0.893
0.255 0.111 0.392
0.883 0.136 0.345
0.136 0.345 0.883
0.308 0.308 0.308
0.627 0.173 0.354
0.755 0.892 0.611
0.755 0.852 0.415
0.171 0.614 0.190
0.187 0.187 0.187
0.687 0.687 0.687
0.501 0.501 0.501
0.001 0.001 0.001

***

NaSrCaMnO6 GGA+U relaxed; calculated formation energy = -2019 meV/atom; space group = F-43m (216); raw total energy = -5.83 eV per atom; spin magnetization = 0.00 μB per atom
1.0
0.000 -4.122 -4.122
4.122 0.000 -4.122
4.122 -4.122 0.000
O Mn Ca Sr Na
6 1 1 1 1
direct
0.728 0.728 0.272
0.728 0.272 0.272
0.728 0.272 0.728
0.272 0.728 0.272
0.272 0.272 0.728
0.272 0.728 0.728
0.500 0.500 0.500
0.000 0.000 0.000
0.750 0.750 0.750
0.250 0.250 0.250

***

Na3Ca10Mn7V12O48 GGA+U relaxed; calculated formation energy = -2710 meV/atom; space group = P1 (1); raw total energy = -7.33 eV per atom; spin magnetization = 0.42 μB per atom
1.0
10.405 0.012 -3.696
-5.188 9.023 -3.683
-0.001 0.015 11.085
V O Mn Ca Na
12 48 7 10 3
direct
0.249 0.624 0.373
0.373 0.620 0.746
0.247 0.126 0.871
0.881 0.255 0.127
0.625 0.749 0.373
0.119 0.747 0.874
0.874 0.124 0.749
0.626 0.379 0.254
0.126 0.876 0.250
0.750 0.375 0.626
0.754 0.874 0.131
0.377 0.251 0.627
0.385 0.599 0.899
0.392 0.811 0.516
0.899 0.018 0.308
0.884 0.984 0.788
0.621 0.409 0.106
0.090 0.880 0.395
*/
_The crystal structures stop here_

"You're welcome." Li Yuan raised the corners of his mouth slightly, and then suggested, "Remember, the person you meet who is fierce to you and reaches out to pinch your ear is your destined wife."

Beacon Fire March: Pinch my ears! No way! A man as handsome as me, how dare a woman pinch my ears!

"Hehe hehe!" Li Yuan laughed, "Love may be so unexpected."

********
Computed, not measured: a relaxed structure of Na10Hf5Zn3Si6S6O48 at the PBE-GGA level of DFT.

Summary:
Total moment: 0.00 μB/atom
Energy relative to the elements: -2.653 eV per atom
Volume: 3254.40 Å³/cell

Lattice parameters (Å, degrees): 18.1503 9.0682 22.8186 90.19 89.75 119.94
Last column: nearest neighbours and their distance in Å.
Fractional positions:
Na: 0.3185 0.0037 0.2437  4 O 2.35-2.56
Na: 0.1983 0.3722 0.2445  3 O 2.28-2.50
Na: 0.6907 0.3685 0.2436  5 O 2.39-2.60
Na: 0.9966 0.6407 0.2499  3 O 2.39-2.57
Na: 0.3184 0.6140 0.7536  4 O 2.35-2.61
Na: 0.8195 0.6256 0.7474  5 O 2.45-2.70
Na: 0.9926 0.3607 0.7491  4 O 2.40-2.68
Na: 0.4954 0.3737 0.7418  5 O 2.36-2.60
Na: 0.1821 0.0112 0.7462  3 O 2.35-2.55
Na: 0.6869 0.0133 0.7482  4 O 2.40-2.63
Na: 0.6466 0.3500 0.5763  4 O 2.25-2.45
Na: 0.3216 0.6828 0.0795  3 O 2.27-2.50
Na: 0.8245 0.6861 0.0868  2 O 2.24-2.45
Na: 0.1642 0.3191 0.9227  5 O 2.39-2.67
Na: 0.9940 0.3082 0.4208  4 O 2.40-2.68
Na: 0.1642 0.0295 0.4191  5 O 2.43-2.69
Na: 0.6607 0.0268 0.4130  2 O 2.28-2.43
Na: 0.8414 0.6678 0.4174  5 O 2.50-2.76
Na: 0.0022 0.0051 0.4999  6 O 2.57-2.66
Na: 0.4923 0.0115 0.4936  4 O 2.45-2.72
Na: 0.0072 0.0261 0.9994  4 O 2.40-2.65
Na: 0.5026 0.0243 0.9953  5 O 2.43-2.67
Na: 0.3446 0.3577 0.8331  3 O 2.38-2.54
Na: 0.8387 0.3355 0.8273  4 O 2.47-2.63
Na: 0.3381 0.3640 0.3255  1 O 2.22
Na: 0.8316 0.3319 0.3284  4 O 2.40-2.67
Na: 0.1690 0.6638 0.1564  2 O 2.25-2.48
Na: 0.6642 0.6646 0.1583  3 O 2.33-2.58
Na: 0.1610 0.6587 0.6589  5 O 2.44-2.69
Na: 0.6589 0.6662 0.6591  2 O 2.29-2.55
Hf: 0.0000 0.9921 0.3534  6 O 2.01-2.23
Hf: 0.9995 0.0065 0.8488  4 O 1.95-2.05
Hf: 0.5028 0.9985 0.8563  6 O 1.99-2.20
Hf: 0.0016 0.0022 0.6505  3 O 1.96-1.97
Hf: 0.5024 0.0065 0.6461  5 O 1.98-2.18
Hf: 0.0049 0.9973 0.1472  5 O 1.95-2.17
Hf: 0.5003 0.0030 0.1462  6 O 2.00-2.15
Hf: 0.3341 0.3388 0.9790  6 O 2.00-2.21
Hf: 0.8294 0.3264 0.9814  6 O 1.97-2.18
Hf: 0.3375 0.3376 0.4844  5 O 1.94-2.15
Hf: 0.8326 0.3353 0.4782  6 O 2.00-2.19
Hf: 0.1716 0.6644 0.3160  5 O 1.98-2.13
Hf: 0.6730 0.6707 0.3162  3 O 1.96-2.02
Hf: 0.1589 0.6463 0.8183  4 O 1.95-2.09
Hf: 0.6598 0.6572 0.8125  4 O 1.96-2.09
Zn: 0.4977 0.9990 0.3501  2 O 1.87-1.99
Zn: 0.3428 0.3573 0.6815  4 O 1.94-2.14
Zn: 0.8363 0.3359 0.6916  6 O 2.02-2.24
Zn: 0.3256 0.3488 0.1857  2 O 1.91-2.02
Zn: 0.8272 0.3440 0.1785  2 O 1.90-2.12
Zn: 0.1684 0.6246 0.0128  3 O 1.88-1.97
Zn: 0.6552 0.6235 0.0188  2 O 1.83-1.94
Zn: 0.1580 0.6510 0.5098  2 O 1.91-1.93
Zn: 0.6597 0.6439 0.5127  4 O 1.97-2.09
Si: 0.1502 0.9982 0.2516  4 O 1.62-1.67
Si: 0.3591 0.7123 0.2526  4 O 1.60-1.70
Si: 0.8516 0.7024 0.2478  4 O 1.64-1.66
Si: 0.1504 0.2955 0.7490  4 O 1.62-1.66
Si: 0.6463 0.2902 0.7495  4 O 1.61-1.66
Si: 0.0039 0.7119 0.7504  4 O 1.62-1.66
Si: 0.4985 0.7098 0.7495  4 O 1.61-1.66
Si: 0.8523 0.9972 0.7488  4 O 1.62-1.65
Si: 0.4837 0.3392 0.5868  4 O 1.62-1.69
Si: 0.1834 0.3336 0.0842  4 O 1.62-1.67
Si: 0.6843 0.3373 0.0856  4 O 1.63-1.66
Si: 0.3160 0.6735 0.9192  4 O 1.60-1.68
********

The 'sign' on your left side looks like a person, and the upper right side of the person, where the ear is, and the part that connects the left side looks like a hand, and it looks like a hand is squeezing the ear."

Fiberfire March: OK! Thank you, Master. By the way, I've already donated to the orphanage.

'Well, good! Li Yuan raised his hand to signal.

See the dialogue between the two people is finally completed, and the comments in the broadcast room are suddenly active.

Just now they did not dare to speak, for fear that the beacon fire and even the words of March would be submerged in the army.

Crayon Xiaoxiaoxin: Every time I feel that the word measurement is too magical, it is obviously like nonsense, but it is so accurate.

The boss is terrible: you dare to say the master nonsense, you are dead.

I don't smoke: Yes, the master is really too divine.

Crazy: Watching the master live is much more interesting than watching the TV series.

The earth is round: the main thing is that new continents are discovered every time.

And Lin Qingya did not speak, she was sitting in a chair at this time, in the mind of Li Yuan said that sentence: "Love may come is so unexpected."

When she heard this sentence, her mind could not help but think of the days when she got along with Li Yuan.

Although it was only a short two days, it made her feel that she and Li Yuan were like old friends who had known each other for many years and got along naturally and harmoniously.

Perhaps, in the broadcast room to hear Li Yuan's voice, from his smile to infer the expression on his face, she is no longer unfamiliar to Li Yuan.

Two days with Li Yuan, Lin Qingya saw Li Yuan calm, encounter things leisurely.

She felt that the two of them were very similar, heavy love but not short, crisp.

Only, she doesn't know what Li Yuan thinks of her.

Moreover, the fate of the two of them is too strange.

One is to kill all his relatives, and the other is to live less than six months.

Perhaps, meet, is doomed to it!

Although Lin Qingya is a strong woman, she is still a woman.

Women, it's hard to escape the fate of sentimentality.

The room was very busy. Li Yuan was just measuring characters and did not pay attention to it. Now, when he looked, there were nearly five thousand people.

This number is not much among the hot Internet celebrities, but in the unpopular fortune-telling live broadcast, it is already a leader.

There are other peers see Li Yuan here hot very, also quietly touch to probe the enemy.

However, after they came for a while, they were shocked by the strength Li Yuan showed.

They even learned something from Li Yuan that they normally wouldn't.

This is not, see Li Yuan measurement, they also listened with relish, and then they even asked questions.

"Master, can you deduce from this word of blessing how old is that person in the family?"